[Listing]
# 1
# NiRh4 GGA-PBE relaxed
# SG = Pm-3m (221)
# formation enthalpy at 0 K = 1.2552 eV/atom
data_NiRh4
_chemical_formula_sum 'Ni1 Rh4'
_space_group_name_H-M_alt 'P 1'
_space_group_IT_number 1
_space_group_name_Hall 'P 1'
_cell_length_a 4.4125
_cell_length_b 4.4125
_cell_length_c 4.4125
_cell_angle_alpha 90.00
_cell_angle_beta 90.00
_cell_angle_gamma 90.00
loop_
_atom_site_label
_atom_site_type_symbol
_atom_site_fract_x
_atom_site_fract_y
_atom_site_fract_z
_atom_site_occupancy
Ni1 Ni 0.0000 0.0000 0.0000 1
Rh1 Rh 0.0000 0.0000 0.5000 1
Rh2 Rh 0.0000 0.5000 0.0000 1
Rh3 Rh 0.5000 0.0000 0.0000 1
Rh4 Rh 0.5000 0.5000 0.5000 1

=====

# 2
# Ni12RuRh6 GGA-PBE relaxed
# SG = R-3 (148)
# formation enthalpy at 0 K = 0.1967 eV/atom
data_Ni12RuRh6
_chemical_formula_sum 'Ni12 Ru1 Rh6'
_space_group_name_H-M_alt 'P 1'
_space_group_IT_number 1
_space_group_name_Hall 'P 1'
_cell_length_a 6.2520
_cell_length_b 6.2520
_cell_length_c 6.2520
_cell_angle_alpha 92.47
_cell_angle_beta 92.47
_cell_angle_gamma 92.47
loop_
_atom_site_label
_atom_site_type_symbol
_atom_site_fract_x
_atom_site_fract_y
_atom_site_fract_z
_atom_site_occupancy
Ni1 Ni 0.0349 0.2864 0.9533 1
Ni2 Ni 0.0467 0.9651 0.7136 1
Ni3 Ni 0.1270 0.3559 0.4432 1
Ni4 Ni 0.2864 0.9533 0.0349 1
Ni5 Ni 0.3559 0.4432 0.1270 1
Ni6 Ni 0.4432 0.1270 0.3559 1
Ni7 Ni 0.5568 0.8730 0.6441 1
Ni8 Ni 0.6441 0.5568 0.8730 1
Ni9 Ni 0.7136 0.0467 0.9651 1
Ni10 Ni 0.8730 0.6441 0.5568 1
Ni11 Ni 0.9533 0.0349 0.2864 1
Ni12 Ni 0.9651 0.7136 0.0467 1
Ru1 Ru 0.5000 0.5000 0.5000 1
Rh1 Rh 0.2158 0.7642 0.3813 1
Rh2 Rh 0.2358 0.6187 0.7842 1
Rh3 Rh 0.3813 0.2158 0.7642 1
Rh4 Rh 0.6187 0.7842 0.2358 1
Rh5 Rh 0.7642 0.3813 0.2158 1
Rh6 Rh 0.7842 0.2358 0.6187 1

=====

# 3
# Ni4RuRh GGA-PBE relaxed
# SG = F-43m (216)
# formation enthalpy at 0 K = 0.1351 eV/atom
data_Ni4RuRh
_chemical_formula_sum 'Ni4 Ru1 Rh1'
_space_group_name_H-M_alt 'P 1'
_space_group_IT_number 1
_space_group_name_Hall 'P 1'
_cell_length_a 4.6880
_cell_length_b 4.6880
_cell_length_c 4.6880
_cell_angle_alpha 60.00
_cell_angle_beta 60.00
_cell_angle_gamma 60.00
loop_
_atom_site_label
_atom_site_type_symbol
_atom_site_fract_x
_atom_site_fract_y
_atom_site_fract_z
_atom_site_occupancy
Ni1 Ni 0.1248 0.1248 0.1248 1
Ni2 Ni 0.1248 0.1248 0.6256 1
Ni3 Ni 0.1248 0.6256 0.1248 1
Ni4 Ni 0.6256 0.1248 0.1248 1
Ru1 Ru 0.5000 0.5000 0.5000 1
Rh1 Rh 0.7500 0.7500 0.7500 1

=====

# 4
# NiRuRh2 GGA-PBE relaxed
# SG = Cmmm (65)
# formation enthalpy at 0 K = 0.0967 eV/atom
data_NiRuRh2
_chemical_formula_sum 'Ni1 Ru1 Rh2'
_space_group_name_H-M_alt 'P 1'
_space_group_IT_number 1
_space_group_name_Hall 'P 1'
_cell_length_a 4.6105
_cell_length_b 4.6105
_cell_length_c 2.6884
_cell_angle_alpha 90.00
_cell_angle_beta 90.00
_cell_angle_gamma 109.12
loop_
_atom_site_label
_atom_site_type_symbol
_atom_site_fract_x
_atom_site_fract_y
_atom_site_fract_z
_atom_site_occupancy
Ni1 Ni 0.0000 0.0000 0.0000 1
Ru1 Ru 0.5000 0.5000 0.0000 1
Rh1 Rh 0.0000 0.5000 0.5000 1
Rh2 Rh 0.5000 0.0000 0.5000 1

=====

# 5
# Ni8RuRh6 GGA-PBE relaxed
# SG = R-3 (148)
# formation enthalpy at 0 K = 0.2689 eV/atom
data_Ni8RuRh6
_chemical_formula_sum 'Ni8 Ru1 Rh6'
_space_group_name_H-M_alt 'P 1'
_space_group_IT_number 1
_space_group_name_Hall 'P 1'
_cell_length_a 6.0670
_cell_length_b 6.0670
_cell_length_c 6.0670
_cell_angle_alpha 72.19
_cell_angle_beta 72.19
_cell_angle_gamma 72.19
loop_
_atom_site_label
_atom_site_type_symbol
_atom_site_fract_x
_atom_site_fract_y
_atom_site_fract_z
_atom_site_occupancy
Ni1 Ni 0.0499 0.8581 0.3934 1
Ni2 Ni 0.1419 0.6066 0.9501 1
Ni3 Ni 0.2363 0.2363 0.2363 1
Ni4 Ni 0.3934 0.0499 0.8581 1
Ni5 Ni 0.6066 0.9501 0.1419 1
Ni6 Ni 0.7637 0.7637 0.7637 1
Ni7 Ni 0.8581 0.3934 0.0499 1
Ni8 Ni 0.9501 0.1419 0.6066 1
Ru1 Ru 0.0000 0.0000 0.0000 1
Rh1 Rh 0.1755 0.4279 0.6157 1
Rh2 Rh 0.3843 0.8245 0.5721 1
Rh3 Rh 0.4279 0.6157 0.1755 1
Rh4 Rh 0.5721 0.3843 0.8245 1
Rh5 Rh 0.6157 0.1755 0.4279 1
Rh6 Rh 0.8245 0.5721 0.3843 1

=====

# 6
# NiRuRh2 GGA-PBE relaxed

[Assignment]
Start at the top of the data earlier on and retype each line, ending with the one that has "Ni9 Ni".

[Outcome]
# 1
# NiRh4 GGA-PBE relaxed
# SG = Pm-3m (221)
# formation enthalpy at 0 K = 1.2552 eV/atom
data_NiRh4
_chemical_formula_sum 'Ni1 Rh4'
_space_group_name_H-M_alt 'P 1'
_space_group_IT_number 1
_space_group_name_Hall 'P 1'
_cell_length_a 4.4125
_cell_length_b 4.4125
_cell_length_c 4.4125
_cell_angle_alpha 90.00
_cell_angle_beta 90.00
_cell_angle_gamma 90.00
loop_
_atom_site_label
_atom_site_type_symbol
_atom_site_fract_x
_atom_site_fract_y
_atom_site_fract_z
_atom_site_occupancy
Ni1 Ni 0.0000 0.0000 0.0000 1
Rh1 Rh 0.0000 0.0000 0.5000 1
Rh2 Rh 0.0000 0.5000 0.0000 1
Rh3 Rh 0.5000 0.0000 0.0000 1
Rh4 Rh 0.5000 0.5000 0.5000 1

=====

# 2
# Ni12RuRh6 GGA-PBE relaxed
# SG = R-3 (148)
# formation enthalpy at 0 K = 0.1967 eV/atom
data_Ni12RuRh6
_chemical_formula_sum 'Ni12 Ru1 Rh6'
_space_group_name_H-M_alt 'P 1'
_space_group_IT_number 1
_space_group_name_Hall 'P 1'
_cell_length_a 6.2520
_cell_length_b 6.2520
_cell_length_c 6.2520
_cell_angle_alpha 92.47
_cell_angle_beta 92.47
_cell_angle_gamma 92.47
loop_
_atom_site_label
_atom_site_type_symbol
_atom_site_fract_x
_atom_site_fract_y
_atom_site_fract_z
_atom_site_occupancy
Ni1 Ni 0.0349 0.2864 0.9533 1
Ni2 Ni 0.0467 0.9651 0.7136 1
Ni3 Ni 0.1270 0.3559 0.4432 1
Ni4 Ni 0.2864 0.9533 0.0349 1
Ni5 Ni 0.3559 0.4432 0.1270 1
Ni6 Ni 0.4432 0.1270 0.3559 1
Ni7 Ni 0.5568 0.8730 0.6441 1
Ni8 Ni 0.6441 0.5568 0.8730 1
Ni9 Ni 0.7136 0.0467 0.9651 1